![]() World's AwayA Story by Kathryn Saunders![]() Lauren is an average teenager who hates her family untill one day, everything is changed. Ripped from her world and sent across the stars, will she ever find her way back home?![]() World’s Away By: Kathryn Adel
~ O ~ O ~
Prologue: Little
Lithle Child
name is Lauren Hayes. I am 16 years old and have blonde hair and blue eyes. My
parents are divorced and I hate my stupid step-dad Brian. Scratch that, I hate
my whole family. Brian is a dumb-a*s who is always telling me what to do; my
mother forces me to spend time with my Gothic sister and my loser dad. She is
always telling me that family is everything but she doesn’t really care. It’s
**Between two parts of the text: data records:**
........
No. 1
The following is a calculated X-ray powder pattern of SiBRhAuCS. It was derived from a crystal structure in Alexandria, relaxed with GGA-PBE, using a wavelength of 1.5418 Å.

Top 6 peaks for 5° ≤ 2θ ≤ 70°, in order of rising 2θ:
| Position (°2θ) | I_rel |
| --- | --- |
| 16.56 | 100 |
| 32.60 | 32 |
| 34.39 | 29 |
| 39.39 | 48 |
| 43.06 | 39 |
| 43.58 | 28 |

Atomic structure:
```
SiBRhAuCS
1.0
5.5950 -1.4110 0.0000
5.5950 1.4110 0.0000
-3.8849 0.0000 5.6148
Si B Rh Au C S
1 1 1 1 1 1
Direct
0.0000 0.0000 0.0000
0.7348 0.7348 0.5109
0.3985 0.3985 0.6636
0.7289 0.7289 0.1704
0.9557 0.9557 0.2338
0.5442 0.5442 0.4365
```



No. 2
The following is a calculated X-ray powder pattern of SiBAuC. It was derived from a crystal structure in Alexandria, relaxed with GGA-PBE, using a wavelength of 1.5418 Å.

Top 6 peaks for 5° ≤ 2θ ≤ 70°, in order of rising 2θ:
| Position (°2θ) | I_rel |
| --- | --- |
| 15.21 | 100 |
| 29.48 | 36 |
| 30.69 | 30 |
| 33.33 | 47 |
| 35.66 | 53 |
| 46.92 | 43 |

Atomic structure:
```
SiBAuC
1.0
2.7916 0.0000 0.0000
0.0000 3.0301 0.0000
0.0000 0.0000 5.8266
Si B Au C
1 1 1 1
Direct
0.0000 0.0000 0.0000
0.5000 0.5000 0.6774
0.5000 0.0000 0.3683
0.0000 0.5000 0.8075
```


# LiMn2P2O8
Calculated powder X-ray diffraction pattern, CuKα. Input: a cell relaxed with PBE+U.
Lines closer than 0.1° are merged.

```
LiMn2P2O8
1.0
7.8826 0.0000 0.0000
0.0000 5.4950 0.0000
-2.2819 0.0000 8.1148
Li Mn P O
2 4 4 16
direct
0.0000 0.1609 0.0000
0.0000 0.8391 0.5000
0.1588 0.3558 0.4026
0.1588 0.6442 0.9026
0.5884 0.1967 0.6418
0.5884 0.8033 0.1418
0.4037 0.1599 0.9503
0.4037 0.8401 0.4503
0.8963 0.3420 0.6220
0.8963 0.6580 0.1220
0.0233 0.1827 0.5555
0.0233 0.8173 0.0555
0.2323 0.2855 0.9653
0.2323 0.7145 0.4653
0.3742 0.1308 0.4476
0.3742 0.8692 0.9476
0.4374 0.2444 0.7875
0.4374 0.7556 0.2875
0.5622 0.1856 0.1011
0.5622 0.8144 0.6011
0.7110 0.3492 0.4955
0.7110 0.6508 0.9955
0.8430 0.2219 0.7727
0.8430 0.7781 0.2727
0.9819 0.4055 0.1690
0.9819 0.5945 0.6690
```

Largest 10 diffraction maxima, by intensity, 5° ≤ 2θ ≤ 70°:
- d 4.063, intensity 100
- d 4.550, intensity 80
- d 3.665, intensity 70
- d 4.451, intensity 63
- d 2.793, intensity 49
- d 3.235, intensity 47
- d 2.747, intensity 34
- d 2.718, intensity 24
- d 1.595, intensity 24
- d 2.602, intensity 16

---

# LiMnPO4
Calculated powder X-ray diffraction pattern, CuKα. Input: a cell relaxed with PBE+U.
Lines closer than 0.1° are merged.

```
LiMnPO4
1.0
10.3148 0.0000 0.0000
0.0000 5.1393 0.0000
0.0000 0.0000 6.9523
Li Mn P O
4 4 4 16
direct
0.1517 0.1934 0.0000
0.3483 0.6934 0.5000
0.6517 0.3066 0.0000
0.8483 0.8066 0.5000
0.1531 0.1945 0.5001
0.3469 0.6945 0.0001
0.6531 0.3055 0.5001
0.8469 0.8055 0.0001
0.0962 0.6910 0.7502
0.4038 0.1910 0.2502
0.5962 0.8090 0.7502
0.9038 0.3090 0.2502
0.0506 0.2431 0.2444
0.1189 0.3916 0.7569
0.1572 0.8155 0.9334
0.1635 0.7988 0.5660
0.3365 0.2988 0.0660
0.3428 0.3155 0.4334
0.3811 0.8916 0.2569
0.4494 0.7431 0.7444
0.5506 0.2569 0.2444
........
only been six months since my twin brother died in a plane crash. Laurence used
to live with my father; he was coming to visit for our birthday. No one could
say the cause of the plane crash " just that no one survived. My mother acts as
if he was never born. She never says his name, or talks about him. They never
found his body and I pretend he is still alive sometimes. My
father is the worst one of them all. Laurence wanted our father to drive him to
see us, but he was too busy spending time with his new wife, so my brother took
the plane instead. I guess my father feels guilty about it; because this is the
first time we’ve been to his house since I was 10. “I
don’t see why I had to come. I don’t even like Jeffery.” That’s my father’s
name. “I could have just stayed home. With my friends.” I scowl and pull a book
out of my white hiker’s backpack. It arrived in the mail a week after my
brother died. His last present to me Brian
wrinkles his nose. “You shouldn’t call him that. He is your father. He deserves
your respect.” I hate his stupid condescending voice. He has no right to tell
me who I should or shouldn’t respect. I
pretend to read for a moment before sighing and looking out the window. Trees,
trees, trees; a sea of nothing but bright green trees. Who the hell lives in
the middle of the woods anyway? No internet, no cable. My father is an idiot
and my mother? Not far behind. We
pull up to a rather large house and I immediately grab my bag and get out of
the car. I walk right past my father as he greets Brian. I roll my eyes. Their
voices are grating and annoying and I can’t bare them any longer. My sister
heads over to where Jeffery’s new wife is setting up a picnic " are we five
now? " and I head into the house. While everyone is greeting each other I’ve
decided that now is a great time to invade the liquor cabinet. My
dad is an alcoholic. He has everything you could possibly imagine in a fridge
in the basement. He has a wine cabinet too; climate controlled and all, but
that isn’t my style. I set my bag down and empty it of my books and clothes.
The first bottle I take out is a bottle of Zombie " my all time favorite. Next,
== Between two parts of the article: data records ==
'''
(1)
Diffraction record for Sb3As2S14I3F24. The X-ray diffraction stick pattern is calculated, not measured: it uses DFT lattice parameters and positions (PBE) and Cu Kα, 1.54184 Å.
Lines closer than 0.1° are merged.

Main lines, sorted by position (15 to 90 degrees two-theta):
d (Å)  I (rel.)  (hkl)
5.119  82  1 -1 1
4.250  78  0 0 3
4.082  100  1 2 0
4.061  58  1 2 2
3.893  80  1 -2 0
3.660  84  2 1 2

Structure:
```
data_Sb3As2S14I3F24
_chemical_formula_sum 'Sb3 As2 S14 I3 F24'
_cell_length_a 8.472
_cell_length_b 9.546
_cell_length_c 13.465
_cell_angle_alpha 71.60
_cell_angle_beta 85.05
_cell_angle_gamma 85.32
_space_group_name_H-M_alt 'P -1'
_space_group_IT_number 2
loop_
_space_group_symop_operation_xyz
'x,y,z'
'-x,-y,-z'
loop_
_atom_site_label
_atom_site_type_symbol
_atom_site_fract_x
_atom_site_fract_y
_atom_site_fract_z
Sb1 Sb 0.000 0.000 0.000
Sb2 Sb 0.468 0.216 0.665
As1 As 0.481 0.770 0.997
S1 S 0.036 0.593 0.865
S2 S 0.090 0.066 0.307
S3 S 0.101 0.458 0.790
S4 S 0.116 0.545 0.304
S5 S 0.128 0.831 0.756
S6 S 0.158 0.180 0.396
S7 S 0.258 0.372 0.291
I1 I 0.000 0.500 0.500
I2 I 0.284 0.760 0.625
F1 F 0.005 0.184 0.030
F2 F 0.040 0.895 0.143
F3 F 0.225 0.001 0.965
F4 F 0.244 0.196 0.692
F5 F 0.308 0.762 0.372
F6 F 0.347 0.641 0.078
F7 F 0.349 0.354 0.978
F8 F 0.438 0.423 0.647
F9 F 0.442 0.253 0.516
F10 F 0.442 0.732 0.880
F11 F 0.498 0.991 0.317
F12 F 0.499 0.178 0.811
```

(2)
Diffraction record for AsSeI3F6. The X-ray diffraction stick pattern is calculated, not measured: it uses DFT lattice parameters and positions (PBE) and Cu Kα, 1.54184 Å.
Lines closer than 0.1° are merged.

Main lines, sorted by position (15 to 90 degrees two-theta):
d (Å)  I (rel.)  (hkl)
4.324  100  1 1 2
4.295  46  2 0 0
3.800  47  1 2 -2
3.608  39  2 1 -2
3.517  31  1 2 2
3.370  43  0 3 1

Structure:
```
data_AsSeI3F6
_chemical_formula_sum 'As4 Se4 I12 F24'
_cell_length_a 8.697
_cell_length_b 10.475
_cell_length_c 12.799
_cell_angle_alpha 90.00
_cell_angle_beta 99.03
_cell_angle_gamma 90.00
_space_group_name_H-M_alt 'P 1 21/c 1'
_space_group_IT_number 14
loop_
_space_group_symop_operation_xyz
'x,y,z'
'-x,-y,-z'
'-x,y+1/2,-z+1/2'
'x,-y+1/2,z+1/2'
loop_
_atom_site_label
_atom_site_type_symbol
_atom_site_fract_x
_atom_site_fract_y
_atom_site_fract_z
As1 As 0.198 0.225 0.067
Se1 Se 0.201 0.681 0.699
I1 I 0.210 0.591 0.267
I2 I 0.262 0.541 0.862
I3 I 0.444 0.673 0.611
F1 F 0.012 0.223 0.502
F2 F 0.119 0.074 0.090
F3 F 0.155 0.217 0.689
F4 F 0.241 0.169 0.942
F5 F 0.278 0.122 0.541
F6 F 0.385 0.175 0.128
```

(3)
Diffraction record for InAsF6. The X-ray diffraction stick pattern is calculated, not measured: it uses DFT lattice parameters and positions (PBE) and Cu Kα, 1.54184 Å.
Lines closer than 0.1° are merged.

Main lines, sorted by position (15 to 90 degrees two-theta):
d (Å)  I (rel.)  (hkl)
3.819  100  1 1 0
3.379  74  0 1 2
2.531  18  2 0 2
2.383  17  3 -1 1
2.110  60  1 2 2
1.545  21  3 -1 4

Structure:
```
data_InAsF6
_chemical_formula_sum 'In3 As3 F18'
'''
it’s a bottle of Hurricane, and a couple others. I don’t have time to look as I
hear my mother calling my name at the top of the stairs. I cover all the
alcohol by grabbing my clothes and some other stuff on the table in a rush, not
really caring what it all is. “Down here! I got lost!” I lie easily. It has
been six years sense I’ve been here after all. I
follow my mom and tune out her babbling voice, looking around for anything
interesting to do. “I wanna go explore the woods.” I tell her. If I remember
correctly, there is a cave not far from here that I can drink in. “Can I be
excused?” I use a bored tone. She
gives me a disapproving look and is about to tell me ‘no’ before my sisters
speaks up and says, “I’ll go with her.” Great.
Just what I wanted. But it makes my mom agree and soon we are heading off into
the woods. Maybe my sister won’t narc me out if I start to drink. I hold off as
I follow her into the thick foliage. She is heading towards my cave " I think,
but she hasn’t said a word. Every once and awhile she’ll look at me with her
dark eyes, almost as if she is looking through me. But then she just turns back
around and keeps walking. It kind of freaks me out " a lot. I forgot about
the ravine. There used to be a bridge crossing it, but I can see the
deteriorated remains on the other side, handing over the raging water hundreds
of feet below. I can see the rapids crashing against sharp rocks at the bottom
and suddenly I have a feeling of vertigo. I look and see my sister crossing on
a fallen log barely wide enough to hold her. “Are you crazy?” I yell over to
sounds of the raging water below. She
looks at me and for a second I believe that she really is insane. But then she
smiles. The same smile she used to give me when we were kids. Back when she
dressed normal, acted normal. Back when she used to tell me that she would
always be there for me " when mom and dad first got divorced. Emma holds out
her hand and says in a calm, quiet voice, “Do you trust me?” I
look at her hand, then at the smile on her face and for once I find no sarcasm.
Instead I nod my head and take her hand, climbing atop the make-shift bridge.
She crosses a lot faster than I do. I care barely move and my heart is hammering
so loud in my chest I can’t hear the thundering water anymore. I concentrate on
my sister, on her back as she casually walks across, on the way she turns to
look at me with that smile still on her face. She's all the way across and I’m
only half way there when my foot catches a patch of moss and suddenly, I slip.
I close my eyes, not even able to scream, but I feel a tug at my hand. My
sister is there, reaching over the edge, holding onto me, starring me in the
eyes. For a second " just a second " I think that she is going to drop me. But
she doesn’t, she pulls me back up with ease. When
did she get so fast? Or so strong? I’m not fat, but I am at least 100 pounds. I
mutter my thanks to her and she lets me cling to her hand the rest of the way
across the log. She looks angry at something after our feet are on solid land,
and rubs her temple for a second. She shakes her head and smiles at me again,
but it’s not that childhood smile anymore. She lets me lead her, and I try to
remember where the cave is. It’s not long before I spot the familiar rock
formations covered in green grass and moss. The sun shine’s through the trees
and makes the place glow. I smile and sit at the mouth of the cave and my
sister swiftly joins me. As
I reach for my bag, I hear a faint sound behind me. I turn around and I can
barely make out the form of a girl. She is sitting in the cave, her knees drawn
up and her head lying across them. Her arms are wrapped around herself and I
can hear her sniffle. “Hello?” I ask as I stand to go over to her. Her
head whips up to stare at me with wide eyes. Before I know what’s going on, she
has her arms wrapped tight around my stomach. She is only 13 or 14 I think.
She’s also got some amazing crimson hair. Awkwardly, I place my hands on her
head and shoulder and push her away slightly to kneel down before her. “Where
are your parents?” She
shakes her head. “Mother is dead; I lost Father.” She speaks softly as she
smiles at me with tears in her eyes. “You’ll keep me safe though, right?” “Uh,”
I look to my sister, but then back at the girl. Emma has a glare in her
narrowed eyes that could kill. “Come on.” I say, making sure she follows me. Her
eyes are green, and like I said, her hair is crimson. She can’t be any older
then 14, but she is quite short for her age. She only says her name the entire
walk back to my father’s house. Lithle is her name; it’s a name I’ve never
heard before, but it somehow fits her. She has a determined look on her face,
and she clings to my arm the entire way back, even as we cross the log. We are
almost home " I can see the clearing a bit farther ahead " when my sister grabs
my wrist rather hard. I give her a confused look, but her head is tilted and I
can’t see her eyes. Without
warning my head explodes in pain and I drop to my knees, clutching it with one
hand and holding tight on Lithle with the other. She is grabbing me franticly,
crying out in pain but I can’t pay attention to her now. Black is invading my
vision, my head burns with raging pain, and then suddenly nothing. I’m lying on
the floor in my father’s house. It’s dark " perhaps night time. I get up and
look out the window, but there is nothing there. No woods, no clearing, not
even stars or a sky. I gasp and turn around, my eyes scanning the room. My bag
is still with me and I grab it before heading out of the room. I
see my sister and relief fills me. But then I realize she is holding onto
Lithle’s arm with one hand. Emma’s face is pointed to the ground still and the
little girl is struggling to get away from her. I then notice the knife she is
griping tightly in her other hand. She is muttering something and I walk over
to her slowly, as if she might attack. “Emma?” Her
eyes snap to me in a hard glare. “He was right! He was right about everything!”
She screams, gripping harder on her victim and her weapon. “You have to
choose!” She throws the little girl at me and I catch her before she hits the
ground. “You have to choose! Her or me!? I’m your sister Lauren! Your
god damn flesh and blood!” I realize by the crazy look in her eyes that she’s
snapped. I grab the little girls arm and I run as fast as I can. I see a
staircase and I take them two at a time. In the back of my head I’ve realized
that this isn’t my father’s house, that I have no idea where I am. The stairs
are steel and spiral downwards, seemingly forever. I can hear Emma roaring
behind me, “He was right! He was always right!” I
don’t have time to wonder who ‘he’ is or how he was right. I just keep running
down those stairs as fast as I can. They go on and on and on, never stopping,
but I don’t slow down. My lungs burn and my hand grips Lithle’s even tighter. I
have this insane urge to keep her safe, to protect her no matter what happens.
I’ve never felt like this before. It must be the adrenaline. I
see a figure falling. My sister jumped down, but her hand lands on the rail
next to me and she pulls herself up to stand before us, knife shining in the no
existent light. She lunges at me and time moves in slow motion. Something takes
over my body. I move without my knowing it, dodging the knife and flipping my
sister with her own weight. I stare down at my hands " I don’t know any type of
martial arts. Before I can think about it, she comes at me again and in the
struggle, I can feel flesh give way to metal and a metallic scent fills my nose
while her warm blood covers my hands. I can almost feel her heart beat in the
blood. She
steps back, grabbing her wound. Her eyes are wide and she looks at me with
betrayal. I reach out slowly, my heart is hammering again, but I’m too late.
She hits the rail and falls over the edge, into the abyss. Unable to stand
anymore, I fall to my knees. I just stare at the spot she went over, replaying
it in my head. I killed her. I killed my sister. Lithle places a hand on my
shoulder and I look at her with wide eyes. I had forgotten she was there. She
smiles a sad smile and slowly the surroundings start to change. I feel as if
I’m moving, but my body stays still. I stand as the world around me melts to
nothing and suddenly, I’m met with the site of three burning hot suns and an
endless wasteland of desert. I hold Lithle close to my body as people appear
around me. There
is a man standing in front of me, yelling for the people to stay away. He
growls " a real animalistic growl " and steps towards us. F**k it, I think as I
fall in to the arms of the murderous looking stranger, I’m going to sleep. The
last thing I feel is the rumbling of his chest before the darkness takes hold
of my body once more. © 2014 Kathryn SaundersAuthor's Note
Added on October 13, 2014 Last Updated on October 13, 2014 Author![]() Kathryn SaundersMidland City, ALAboutI usually write dark poems/short stories, but i have lighter stuff to. I'm currently working on a few novels, only one of which can be found online (the first chapter at least),and a movie script. Mos.. more..Writing